

Study on the Structure and Properties of ENR and Its Nano Reinforced Material Specially for High Performance Tyres

【作者】 何灿忠

┌──
{
  "formula": "CH2N6O4",
  "method": "wB97M-V/def2-TZVPD",
  "species": ["C", "N", "N", "N", "N", "N", "N", "O", "O", "O", "O", "H", "H"],
  "coordinates": [[0.598, -0.434, 0.105], [0.451, -0.718, -1.096], [0.016, 1.978, 0.890], [-1.837, 0.713, 1.066], [1.311, -1.009, 1.008], [-0.607, 0.884, 0.670], [-0.496, -0.341, -2.032], [-0.077, 0.516, -2.734], [1.214, 2.041, 0.668], [-2.360, -0.341, 1.009], [-1.506, -0.939, -2.073], [1.900, -1.668, 0.641], [1.392, -0.684, 1.879]],
  "total_energy_ha": -668.38238,
  "molar_mass_da": 162.1,
  "max_force_ev_per_a": 5.569,
  "gap_ev": [8.1, 6.9],
  "spin_multiplicity": 3
}

=====

{
  "formula": "CH2NO2",
  "method": "wB97M-V/def2-TZVPD",
  "species": ["O", "N", "C", "O", "H", "H"],
  "coordinates": [[1.699, 0.640, -0.622], [1.100, 0.030, 0.290], [-0.636, -0.062, 0.193], [0.065, -1.184, -0.172], [-1.345, 0.120, 1.013], [-0.883, 0.456, -0.701]],
  "smiles": "[O-]N1CO1",
  "total_energy_ha": -244.40103,
  "charge": -1,
  "molar_mass_da": 60.0,
  "max_force_ev_per_a": 3.034,
  "gap_ev": 7.0,
  "de_lowest_kcal_mol": 135.74
}

=====

{
  "formula": "CH2NO2P",
  "method": "wB97M-V/def2-TZVPD",
  "species": ["C", "N", "O", "O", "P", "H", "H"],
  "coordinates": [[0.029, -0.103, -1.361], [0.782, 0.678, -0.789], [-0.849, -0.769, 1.262], [0.596, 0.539, 2.864], [0.147, 0.335, 1.482], [0.207, -0.079, -2.349], [-0.911, -0.602, -1.108]],
  "total_energy_ha": -585.76170,
  "molar_mass_da": 91.0,
  "max_force_ev_per_a": 4.382,
  "gap_ev": [9.1, 7.6],
  "de_lowest_kcal_mol": 14.16,
  "spin_multiplicity": 3
}

=====

{
  "formula": "CH2NO2S",
  "method": "wB97M-V/def2-TZVPD",
  "species": ["C", "N", "O", "O", "S", "H", "H"],
  "coordinates": [[-2.245, -0.238, 0.366], [-3.214, 1.896, -0.041], [0.847, 0.451, 0.193], [-2.793, 0.752, -0.057], [-1.939, -1.815, -0.045], [0.988, -0.288, -0.406], [-0.081, 0.365, 0.446]],
  "total_energy_ha": -642.54280,
  "charge": -1,
  "molar_mass_da": 92.1,
  "max_force_ev_per_a": 2.274,
  "gap_ev": [6.2, 6.2],
  "de_lowest_kcal_mol": 150.60
}

=====

{
  "formula": "CH2NO2S",
  "method": "wB97M-V/def2-TZVPD",
  "species": ["C", "N", "O", "O", "S", "H", "H"],
  "coordinates": [[0.698, 0.151, -0.420], [-0.113, -0.752, -0.702], [3.242, -1.051, 0.793], [3.067, 1.197, -0.109], [2.811, -0.211, -0.391], [0.506, 1.177, -0.092], [-1.093, -0.584, -0.751]],
  "total_energy_ha": -642.71660,
  "charge": -1,
  "molar_mass_da": 92.1,
  "max_force_ev_per_a": 2.310,
  "gap_ev": 7.2,
  "de_lowest_kcal_mol": 41.54
}

=====

{
  "formula": "CH2NO2S2",
  "method": "wB97M-V/def2-TZVPD",
  "species": ["C", "N", "O", "O", "S", "S", "H", "H"],
  "coordinates": [[-1.725, 0.326, 0.431], [0.429, 0.509, -0.819], [-1.908, -0.790, 0.122], [-1.678, 1.408, 0.834], [0.765, -0.947, -1.563], [1.582, 1.126, 0.295], [0.472, -1.900, -0.743], [2.063, 0.268, 1.443]],
  "total_energy_ha": -1040.92280,
  "charge": -1,
  "molar_mass_da": 124.2,
  "max_force_ev_per_a": 2.683,
  "gap_ev": 6.4,
  "de_lowest_kcal_mol": 24.07
}

=====

{
└──

【导师】 彭政;

【作者基本信息】 海南大学 , 橡胶学, 2013, 博士

【摘要】 近年来,随着国家节能减排战略的提出和汽车工业向高速、安全、节能、舒适化方向的发展,对轮胎高性能化的要求也逐年提高,这就要求轮胎胎面具有良好的抗湿滑性能,优异的耐磨性、低的滚动阻力特性。轮胎胎面要获得如此全面的特性,必须在橡胶的分子结构及增强结构上有新的突破。众所周知,橡胶分子间的内摩擦损耗和松弛特性是制约其低滚阻和高抗湿滑性能的主要因素,因此通过环氧改性对天然橡胶进行分子结构设计是本论文的研究重点之一,其次橡胶的增强结构高性能化也是轮胎工业者致力解决的难题。无机填料白炭黑以其高补强、低生热的优点而逐渐受到橡胶工业研究者的青睐,但是也具有易团聚、与基体结合差等缺点。因此通过分子结构设计和纳米填料增强的角度来提高白炭黑分散性及其与基体的界面相互作用力并实现节能降耗目标是本论文的另一个研究重点。论文的第一部分,从微观分子结构入手,研究环氧化反应对橡胶结构和性能的影响,在微观结构与宏观性能之间建立有机联系。分析环氧化反应机理及环氧基团的分布情况,探索环氧基团开环反应的机理。发现天然橡胶分子链上发生环氧化反应的同时,存在环氧基团的二次开环副反应,开环产物的结构取决于环氧化的程度,环氧基团在橡胶分子链上呈无规分布的。玻璃化转变温度(Tg),门尼粘度和P0值随着环氧化程度的升高而升高,相反PRI值随环氧化程度的升高而降低。论文的第二部分,采用Py-GC/MS动态跟踪环氧化天然橡胶裂解过程,结合TG/DTG,DTA等分析技术,探索ENR的降解机理。研究发现,与NR相比,ENR的TG曲线往低温方向移动,说明环氧化改性后ENR的热稳定性变差。NRf和ENR的第一步热氧降解机理相同,都为一维扩散;NR的第二步热氧降机理为二维扩散(Valensi方程1。然而,ENR降解机理为三维扩散(Jander方程),表明在NR分子链上引入环氧基团后,ENR的降解变得更复杂。NR的DTA曲线出现了两个放热峰,ENR的DTA曲线出现了三个放热峰,说明ENR的热氧降解过程变得更复杂。Py-GC/MS分析结果可以看出,ENR在低温(350℃)裂解的主要是碳碳单键发生p-断裂,在剧烈的温度条件(550℃)下,产物中有大量的短支链表明ENR的裂解不仅发生了链的p-断裂,还有“拉开链式反应”(unzipping reaction)的分子链解聚。论文的第三部分,我们提出了一种全新的设想:不使用任何偶联剂的条件下,通过环氧化天然橡胶(ENR)分子链上的环氧基团与纳米Si02表面的硅羟基产生强的相互作用力(氢键或是化学键),抑制纳米Si02粒子的团聚,使其均相分散在橡胶基体中,来有效的提高复合材料的性能。在混炼阶段,环氧基团和Si02粒子表面的硅羟基相互作用形成氢键,同时诱导SiO2粒子在橡胶基体中的均匀分散;NR/SiO2共混物在硫化的过程中,环氧基团发生开环反应;开环产物马上与SiO2粒子表面的硅羟基发应,形成稳定的Si-O-C键,并进一步预制了SiO2粒子团聚,促进其在橡胶基体中均匀分散。当SiO2用量低于30份时,ENR/SiO2胶料在0℃具有较高的tanδ值,同时在600C具有较低的tanδ值,滚动阻力和抗湿滑性之间达到较好的平衡;SiO2在橡胶基体中的分散越均匀,力学性能越好,生热性能越低,热氧稳定性越好。论文的第四部分,对ENR/SiO2共混体系进行动态流变学测定,探讨环氧化程度和炼胶温度对高填充体系中粒子的分散以及粒子-橡胶相互作用的影响。发现SiO2粒子在橡胶中的分散状态既与环氧基团的含量有关,又与混炼温度有关。随着环氧化程度的升高,出现payne效益的临界应变(yc)以及低频率(ω)区域1gG’-1gω曲线的斜率值均增大,反映出环氧化改性对SiO2与橡胶基体相互作用的促进以及粒子分散的改善。在低温下(60℃)混炼,环氧基团与SiO2粒子表面的硅羟基间以氢键的形式结合,诱导SiO2粒子在橡胶基体中均匀分散;在高温下(120℃)下混炼,部分环氧基团发生开环,开环产物立刻与SiO2粒子表面的硅羟基反应,形成稳定的化学键结合,SiO2粒子在橡胶基体中更均匀地分散。论文的第五部分,考察ENR作为新型SiO2分散剂对NR/SiO2复合材料微观结构和性能的影响,发现ENR改性NR/Silica复合材料的扭矩差值、结合胶含量和交联密度均随着ENR用量的增加而升高,SiO2粒子的分散变得均匀。ENR起到类似于“偶联剂”的作用,通过硫化网络与NR形成稳定的化学键结合和通过环氧基团与SiO2粒子表面的硅羟基反应,在填料和橡胶基体间建立强的相互作用。SiO2粒子均匀的分散在橡胶基体中,有效的提高了抗湿滑性能,降低了滚动阻力和生热性能。

【Abstract】 Recently, with the demand of energy conservation and emission reduction in our country and the development of automotive industry in high-speed, security, energy-saving and comfort, there are increased requirements of high-performance tire with good wet-skid resistance, abrasion resistance, and low rolling resistance. It should have new breakthrough in molecular structure and reinforced structure of rubber. It is well known that, the internal friction losses among macromolecular chains and relaxation characteristics are the main factors. Therefore, the design of molecular structure of energy-saving rubber is the one of research focuses. On the other hand, the optimization of reinforced structure of rubber is the problem to be solved. Silica, a high reinforcement and low heat build-up filler, is gradually popular in rubber industry, but it still shows easy-aggregation and weak interaction with rubber matrix. In this paper, we try to improve the silica-sispersion and its interfacial interaction with matrix and achieve the energy-saving and emission reduction through the design of molecular structure and nanoscale filler reinforcement.In the first part, the microstructure and properties of epoxidized natural rubber (ENR) based on micro molecule during epoxidized process were supervised to build-up the relationship between microstructure and macro-properties, which not only verified the epoxidation mechanism and revealed the reason of ENR epoxy ring-open and crosslink of molecule. Two distinct types of ring-opened products were obtained depending principally on the level of epoxidation. The introduction of epoxy groups was found to occur randomly along the molecular chain while retaining NR’s high stereoregularity. The Tg, Po and Mooney viscosity increase as the ENR loading increases. However, the PRI decrease as the ENR loading increases.In the second part, the pyrolysis products of ENR at different pyrolysis temperatures were analyzed by the combination of pyrolysis-gas chromatography/mass spectrometry (Py-GC/MS) technique. Thermal degradation kinetics was studied by TGA and DTA. The results showed that, compared to NR, the TG curve of ENR shifted towards low temperatures, indicate that the thermal stability of the ENR-50is worse than that of NR. The pyrolysis of ENR exhibits mainly three exotherms in the DTA curves, means the degradation process of ENR is more complex than that of NR. From the major products of Py-GC/MS, it is found that major reactions during the pyrolysis are affected seriously by the pyrolysis temperature. The chain scission mainly occurred at β position of carbon-carbon single bond. Under drastic conditions, the products of short chain hydrocarbon show that ENR not only undergo main chain-scission but also a chain depropagation reaction by unzipping.In the third part, we proposes a novel way to form an agglomerate-free ENR/SiO2nanocomposite at a low processing temperature by taking the advantages of the "bridge" structure of ENR, where the bone chains with high stereo regularity of ENR are further connected with NR, while its oxygenous functional groups will strongly interact with silanol groups on the SiO2surface via hydrogen bonds. The properties and dispersion mechanism of anocomposites are investigated. During the mixing process, the hydrogen bonds are formed between epoxy and silanol groups, resulting in better dispersion of SiO2nanoparticles. Furthermore, when the composites are vulcanized under a pressure of15MPa at145℃for the respective cure times (tgo) with curing agents, the epoxy groups of ENR chains may occur ring-opening reaction. The ring-opening products will react with the silanol groups on the surface of SiO2immediately to form stable chemical bonds to depress the self-aggregation of silica. The improvement of SiO2dispersion leads to the significant enhancement of thermal properties, tensile strength and wet grip, and reduction of rolling resistance and inner-thermogenesis, demonstrating the great potential in the applications of tyre industry.In the fourth part, rheological properties revealed significant differences phenomenon, depending on the types of matrix and the process temperature. When rubber/silica composite is mixed at60℃, The critical strains (yc) and the slope of plotting logarithm storage modulus (lgG) versus logarithm frequency (lgω) in low ωs range substantially increased, suggesting that the Payne effect becomes weaker and the miscibility between silica filler and natural rubber is greatly enhanced. When rubber/silica composite is mixed at120℃, its viscoelasticity presents a dramatic change, the strain dependence G’ increases while the "Second Plateau" disappears, largely due to the crosslink between rubber-rubber molecules and chemical bonding between rubber and silica. Based on the SEM, and rheological properties analyze, the probable structure evolution mechanism of epoxidized natural rubber/silica composites is proposed.In the fifth part, epoxidized natural rubber as a disperse modifier for silica-filled natural rubber and its impacts on properties were studied. The results show that delta torques, bound rubber contents and crosslink density increase as the ENR loading increases, indicating that ENR not only interact with NR through sulfur crosslink but with silica through hydrogen bonds or covalent bonds. These interactions enable ENR compatible with NR matrix, and play a similar role as silane coupling agent by being grafted onto the surfaces of silica nanoparticles to depress the strong self-agglomerate nature of nano-silica. The improvement of SiO2dispersion and strong rubber-filler interaction leads to the significant enhancement of tensile strength, wet grip, and reduction of rolling resistance and inner-thermogenesis. Due to the formation of new chemical bonds between ENR and silica, the NR filled silica in the presence of ENR transfers much stress with less hysteresis.

  • 【网络出版投稿人】 海南大学
  • 【网络出版年期】2014年 01期

